Exercise.
It remains to repeat only the lines further down with the word "XYZ" in them.
Input.
........
VASP calculation (GGA+U) on a geometry-optimized K2MoPbO4 structure.

The structure in POSCAR format:
```
K2MoPbO4
1.0
-2.859 2.859 5.455
2.859 -2.859 5.455
2.859 2.859 -5.455
K Mo Pb O
2 1 1 4
Direct
0.250 0.750 0.500
0.750 0.250 0.500
0.000 0.000 0.000
0.500 0.500 0.000
0.114 0.713 0.000
0.287 0.287 0.401
0.713 0.114 0.000
0.886 0.886 0.599
```

Results
**Space group**: No. 121
**Total energy**: -5.49 eV per atom
**Magnetization**: 2.013 μB per cell

=====

No. 1
MgSc2BeCu | PBE | relaxed

extended XYZ file:
```
5
Lattice="5.163 0.000 0.000 0.000 4.248 0.000 0.000 0.000 5.163" Properties=species:S:1:pos:R:3 pbc="T T T"
Cu 2.582 2.124 2.582
Be 0.000 2.124 0.000
Sc 0.000 0.000 2.582
Mg 0.000 0.000 0.000
Sc 2.582 0.000 0.000
```

Spin magnetization ... 0.70 μB/f.u.
E_tot ... -0.2488 Ry/atom
Space-group type ... P4/mmm
Calculated volume ... 22.65 Å³ per atom
Formation energy from the elements ... 1.030 eV per atom


No. 2
Mg2BeCu5Si2 | PBE | relaxed

extended XYZ file:
```
20
Lattice="-1.845 0.172 2.779 -4.229 -7.739 -2.328 6.320 -4.804 4.492" Properties=species:S:1:pos:R:3 pbc="T T T"
Mg 3.843 -6.502 2.953
Cu -3.713 -8.148 0.047
Si -1.336 -8.542 -0.358
Cu -1.385 -1.655 1.190
Mg 0.758 -9.633 1.099
Mg 1.333 -2.911 1.065
Mg -1.752 -6.042 -0.789
Be 1.045 -6.272 1.082
Cu -0.854 -4.845 1.741
Si -0.769 -3.495 -0.294
Cu 1.276 -4.969 3.162
Si 2.860 -9.048 2.458
Si 3.426 -4.002 2.522
Cu 2.237 -2.316 3.636
Cu -3.037 -3.784 0.226
Be 0.000 0.000 0.000
Cu 1.099 -7.527 3.203
Cu -1.030 -7.402 1.781
Cu 1.631 -10.716 3.753
Cu 3.958 -4.223 4.896
```

Spin magnetization ... 0.00 μB/f.u.
E_tot ... -0.2792 Ry/atom
Space-group type ... P4/mbm
Calculated volume ... 13.90 Å³ per atom
Formation energy (no corrections) ... 0.03 eV per atom


No. 3
SmMgBeCu | PBE | relaxed

extended XYZ file:
```
4
Lattice="-1.806 0.896 4.257 -3.772 -2.385 1.508 0.443 -3.165 3.460" Properties=species:S:1:pos:R:3 pbc="T T T"
Sm 0.000 0.000 0.000
Cu -1.284 -1.163 2.306
Be -3.851 -3.490 6.919
Mg -2.567 -2.327 4.613
```

Spin magnetization ... 0.00 μB/f.u.
E_tot ... -0.2613 Ry/atom
Space-group type ... F-43m
Calculated volume ... 18.47 Å³ per atom
Formation energy from the elements ... -0.021 eV per atom


No. 4
TmMgBeCu | PBE | relaxed

extended XYZ file:
```
4
Lattice="4.599 0.000 0.000 2.299 3.983 0.000 2.299 1.328 3.755" Properties=species:S:1:pos:R:3 pbc="T T T"
Mg 2.299 1.328 0.939
Cu 0.000 0.000 0.000
Tm 6.898 3.983 2.816
Be 4.599 2.655 1.877
```

Spin magnetization ... 0.00 μB/f.u.
E_tot ... -0.2592 Ry/atom
Space-group type ... F-43m
Calculated volume ... 17.19 Å³ per atom
Formation energy from the elements ... -0.055 eV per atom


No. 5
MnBeCu2 | PBE | relaxed

extended XYZ file:
```
4
Lattice="3.997 0.000 0.000 1.998 3.461 0.000 1.998 1.154 3.263" Properties=species:S:1:pos:R:3 pbc="T T T"
Mn 5.995 3.461 2.448
Cu 1.998 1.154 0.816
Cu 0.000 0.000 0.000
Be 3.997 2.308 1.632
```

Spin magnetization ... 2.95 μB/f.u.
E_tot ... -0.3817 Ry/atom
Space-group type ... F-43m
Calculated volume ... 11.29 Å³ per atom
Formation energy from the elements ... 0.079 eV per atom


No. 6
MnBe2Cu | PBE | relaxed

extended XYZ file:
```
4
Lattice="-2.732 -3.527 -0.538 0.275 -1.939 -4.045 2.261 1.057 3.737" Properties=species:S:1:pos:R:3 pbc="T T T"
Be -1.245 -2.771 -2.323
Mn 0.654 -1.808 -1.299
Cu -0.850 -2.602 0.454
Be -2.440 -5.429 -4.551
```

Spin magnetization ... 2.41 μB/f.u.
E_tot ... -0.3700 Ry/atom
Space-group type ... Immm
Calculated volume ... 10.37 Å³ per atom
Formation energy from the elements ... 0.146 eV per atom

=====

[1]
{
  "formula": "LiBiS2Cl",
  "functional": "PBE",
  "state": "relaxed",
  "magmom_total_mub_per_atom": 0.00,
  "polymorph_energy_ev_per_atom": 0.000,
  "mass_density_g_cm3": 3.466,
  "e_form_raw_ev_per_atom": -0.277,
  "cell": [[5.241, 0.000, 0.000], [0.000, 5.241, 0.000], [0.000, 0.000, 5.503]],
  "species": ["Li", "Bi", "S", "S", "Cl"],
........
Response.
extended XYZ file:
extended XYZ file:
extended XYZ file:
extended XYZ file:
extended XYZ file:
extended XYZ file: